Sunday, September 29, 2024

Anshutz - Zuccaro - Anonymous - van der Werff

Thomas Pollock Anshutz
Woman Reading
ca. 1895
oil on board
Delaware Art Museum, Wilmington

Thomas Pollock Anshutz
Cast of Pierre Puget's Sculpture Group
Milo of Croton attacked by a Lion

ca. 1875
Museum of Fine Arts, Boston

Thomas Pollock Anshutz
Cast of Antique Sculpture Group
The Wrestlers

ca. 1875
Delaware Art Museum, Wilmington

[The page is interrupted by records of crystals]
-- begin --
[1]
Material: K4NaCl5
Method: DFT, meta-GGA SCAN
State: PBEsol geometry

Summary:
As for the uncorrected formation energy: -21.4 eV/f.u. The symmetry is No. 87. The energy relative to the lowest polymorph listed for this composition is 0.0058 eV per atom. The calculation puts the total magnetization at 0.00 μB per formula unit. For the calculated volume, the calculation gives 28.62 A^3/atom.

Cell: 6.146 7.484 7.484 Å, 80.29 65.76 65.76°
Element x y z (fractional)
K  0.596  0.605  0.203
K  0.201  0.203  0.395
K  0.799  0.797  0.605
K  0.404  0.395  0.797
Na  0.000  0.000  0.000
Cl  0.716  0.191  0.377
Cl  0.284  0.809  0.623
Cl  0.907  0.377  0.809
Cl  0.500  0.000  0.000
Cl  0.093  0.623  0.191

=====

[2]
Material: Mg3Rh
Method: DFT, meta-GGA SCAN
State: PBEsol geometry

Summary:
The symmetry is No. 221. For the formation energy, the calculation gives -0.313 eV per atom. The calculation puts the total magnetization at 0.08 μB per formula unit. For the calculated volume, the calculation gives 17.24 A^3/atom.

Cell: 4.100 4.100 4.100 Å, 90.00 90.00 90.00°
Element x y z (fractional)
Mg  0.000  0.500  0.500
Mg  0.500  0.000  0.500
Mg  0.500  0.500  0.000
Rh  0.000  0.000  0.000

=====

Question: Look up the calculated volume of the first one.
Answer: 28.62 A^3/atom

=====

Question: The lowest calculated volume belongs to which entry?
Answer: Mg3Rh

=====

Question: Which of these has the highest calculated volume?
Answer: K4NaCl5

=====

Question: Look up the calculated volume of the second one.
Answer: 17.24 A^3/atom


LiPaAl | GGA-PBE | optimized geometry

a b c (Å): 3.034 3.034 15.649
angles (deg): 90.00 90.00 120.00
Fractional coordinates of all 6 atoms:
Li 0.611 0.222 0.354
Li 0.611 0.222 0.646
Al 0.278 0.555 0.500
Al 0.611 0.223 0.000
Pa 0.278 0.556 0.834
Pa 0.278 0.556 0.166

Density ... 7.053 g cm⁻³
DFT formation energy ... 0.04 eV/atom
Crystal system ... hexagonal
Symmetry ... P-6m2
DOS at the Fermi energy ... 1.312 states/eV/atom
Distance to the lowest polymorph of the same formula ... 4 meV/atom


LiPaAlPt | GGA-PBE | optimized geometry

a b c (Å): 4.710 4.710 4.710
angles (deg): 60.00 60.00 60.00
Each line ends with the local moment (μB).
Fractional coordinates of all 4 atoms:
Pa 0.000 0.000 0.000  0.61
Al 0.500 0.500 0.500  0.01
Pt 0.750 0.750 0.750  0.01
Li 0.250 0.250 0.250  0.03

Density ... 10.343 g cm⁻³
DFT formation energy ... -0.53 eV/atom
Crystal system ... cubic
Symmetry ... F-43m
DOS at the Fermi energy ... 0.942 states/eV/atom


LiPaAl2Pt4 | GGA-PBE | optimized geometry

a b c (Å): 4.236 4.236 8.826
angles (deg): 76.12 76.12 60.00
Fractional coordinates of all 8 atoms:
Pt 0.602 0.602 0.194
Pt 0.132 0.132 0.604
Pt 0.398 0.398 0.806
Pt 0.868 0.868 0.396
Al 0.765 0.765 0.706
Al 0.235 0.235 0.294
Li 0.500 0.500 0.500
Pa 0.000 0.000 0.000

Density ... 13.514 g cm⁻³
DFT formation energy ... -1.02 eV/atom
Crystal system ... trigonal
Symmetry ... R-3m
DOS at the Fermi energy ... 0.312 states/eV/atom
-- stop --
[So much for the records of crystals]

Thomas Pollock Anshutz
Classically-Draped Models in the Cast Gallery
of the Philadelphia Academy of Fine Arts

ca. 1883
albumen silver print
Philadelphia Museum of Art

Federico Zuccaro
Self Portrait
ca. 1580
British Museum

Federico Zuccaro
Punishment of the Wrathful
ca. 1574-79
(fresco study for cupola, Duomo di Firenze)
British Museum

<<<
No. 1
PrZn2AsN | PBE | optimized geometry

The structure belongs to space group Cmcm (No. 63); the cell edges are 3.815, 11.355 and 7.965 Å and the angles 90.00°, 90.00° and 90.00°. The distinct sites, in fractional coordinates, are Pr at (0.000, 0.042, 0.250), Zn at (0.000, 0.330, 0.048), As at (0.000, 0.234, 0.750) and N at (0.000, 0.500, 0.000).

The calculation puts the magnetization at 0.00 μB per formula unit. The value obtained for the formation energy without anion corrections is -493 meV/atom. The density of states at the Fermi level is 4.1 states/eV per cell.


No. 2
AsPtN2 | PBE | optimized geometry

The structure belongs to space group R-3m (No. 166, hexagonal axes); the cell edges are 3.1638, 3.1638 and 18.2366 Å and the angles 90.00°, 90.00° and 120.00°. The distinct sites, in fractional coordinates, are As at (0.0000, 0.0000, 0.0000), Pt at (0.0000, 0.0000, 0.5000) and N at (0.0000, 0.0000, 0.1120).

The calculation puts the magnetization at 0.00 μB per formula unit. The value obtained for the formation energy without anion corrections is 792 meV/atom. The density of states at the Fermi level is 5.6 states/eV per cell.


No. 3
AsPtN2 | PBE | optimized geometry

The structure belongs to space group R-3m (No. 166, hexagonal axes); the cell edges are 2.9239, 2.9239 and 18.4686 Å and the angles 90.00°, 90.00° and 120.00°. The distinct sites, in fractional coordinates, are As at (0.0000, 0.0000, 0.0000), Pt at (0.0000, 0.0000, 0.5000) and N at (0.0000, 0.0000, 0.3897).

The calculation puts the magnetization at 0.00 μB per formula unit. The value obtained for the formation energy without anion corrections is 440 meV/atom. The density of states at the Fermi level is 1.7 states/eV per cell.


No. 4
As3PtN | PBE | optimized geometry

The structure belongs to space group Pm-3m (No. 221); the cell edges are 4.867, 4.867 and 4.867 Å and the angles 90.00°, 90.00° and 90.00°. The distinct sites, in fractional coordinates, are As at (0.000, 0.000, 0.500), Pt at (0.000, 0.000, 0.000) and N at (0.500, 0.500, 0.500).

The calculation puts the magnetization at 0.00 μB per formula unit. The value obtained for the formation energy without anion corrections is 1720 meV/atom. The density of states at the Fermi level is 4.7 states/eV per cell. As for the relative energy among the computed polymorphs: 1098 meV per atom.


No. 5
AsPt2N | PBE | optimized geometry

The structure belongs to space group Fm-3m (No. 225); the cell edges are 6.041, 6.041 and 6.041 Å and the angles 90.00°, 90.00° and 90.00°. The distinct sites, in fractional coordinates, are As at (0.000, 0.000, 0.000), Pt at (0.250, 0.250, 0.250) and N at (0.000, 0.000, 0.500).

The calculation puts the magnetization at 0.00 μB per formula unit. The value obtained for the formation energy without anion corrections is 861 meV/atom. The density of states at the Fermi level is 13.7 states/eV per cell. As for the relative energy among the computed polymorphs: 557 meV per atom.


No. 6
>>>

Federico Zuccaro
Flying Putti
ca. 1578-79
National Gallery of Canada, Ottawa

Federico Zuccaro
Study of Onlookers
ca. 1563-64
National Gallery of Canada, Ottawa

Indonesian Culture
Chest Ornament
19th century
Asian Art Museum, San Francisco

Indonesian Culture
ca. 1880-1930
gilt copper
Asian Art Museum, San Francisco

Indonesian Culture
19th century
Asian Art Museum, San Francisco

Indonesian Culture
19th century
Asian Art Museum, San Francisco

Adriaen van der Werff
Boy and Girl with Guinea Pig and Kitten
ca. 1681
(variation on a painting by van der Werff)
British Museum

Adriaen van der Werff
Portrait of a Gentleman
oil on canvas
Kunsthistorisches Museum, Vienna

Adriaen van der Werff
The Flagellation
oil on panel
Alte Pinakothek, Munich

Adriaen van der Werff
Sarah bringing Hagar to Abraham
oil on canvas
Alte Pinakothek, Munich

from Letter to Lord Byron 

You lived and moved among the best society
     And so could introduce your hero to it
Without the slightest tremor of anxiety;
     Because he was your hero and you knew it, 
     He'd know instinctively what's done, and do it. 
He'd find our day more difficult than yours
For industry has mixed the social drawers.

We've grown, you see, a lot more democratic,
     And Fortune's ladder is for all to climb;
Carnegie on this point was most emphatic.
     A humble grandfather is not a crime,
     At least, if father made enough in time!
To-day, thank God, we've got no snobbish feeling
Against the more efficient modes of stealing.

The porter at the Carlton is my brother,
     He'll wish me a good evening if I pay,
For tips and men are equal to each other.
     I'm sure that Vogue would be the first to say
     Que le Beau Monde is socialist to-day;
And many a bandit, not so gently born
Kills vermin every winter with the Quorn.

Adventurers, though, must take things as they find them
     And look for pickings where the pickings are.
The drives of love and hunger are behind them,
     They can't afford to be particular:
     And those who like good cooking and a car,
A certain kind of costume or of face,
Must seek them in a certain kind of place. 

Don Juan was a mixer and no doubt
     Would find this century as good as any
For getting hostesses to ask him out, 
     And mistresses that need not cost a penny.
     Indeed our ways to waste time are so many,
Thanks to technology, a list of these
Would make a longer book than Ulysses.

– W.H. Auden (1936)